Chap 02

"Good morning, boss Kevin." A man in the dock saluted him when he got the rod to park his yacht.

"Good morning, by the way, do you know where I can see the woman who's been here since last night? Dustin said she's here?"

"Oh, that beautiful lady? She's at the ticket booth, boss. She's still waiting for a vacant ticket because they are all reserved for now. Do you know her boss?"

"Yeah, thanks."

He just went to the ticket booth and saw Frey sitting at the waiting area with her luggage's an it seems like she's sleeping on her bag. She looks so tired and all.

### Records of crystals that have nothing to do with the text
┌──
[1]
Computed, not measured: a geometry-optimized RbAlCdHg2 structure at the PBE level of DFT.

Values from the calculation:
Space group: P4/mmm (123)
Formation enthalpy at 0 K: -0.04 eV per atom
E: -6.44 eV per cell
DOS(E_F): 0.534 states/eV per atom
V: 32.1 Å³ per atom

Unit cell a=5.427 b=5.427 c=5.454 alpha=90.00 beta=90.00 gamma=90.00
Positions (direct):
Hg (0.000, 0.500, 0.000)
Hg (0.500, 0.000, 0.000)
Cd (0.000, 0.000, 0.500)
Rb (0.500, 0.500, 0.500)
Al (0.000, 0.000, 0.000)

---

[2]
Computed, not measured: a geometry-optimized CrCdH3 structure at the PBE level of DFT.

Values from the calculation:
E above lowest polymorph: 0.0000 eV/atom
Space group: Pm-3m (221)
E: -19.45 eV per cell
DOS(E_F): 0.192 states/eV per atom
V: 9.0 Å³ per atom

Unit cell a=3.559 b=3.559 c=3.559 alpha=90.00 beta=90.00 gamma=90.00
Positions (direct):
Cr (0.000, 0.000, 0.000)
Cd (0.500, 0.500, 0.500)
H (0.500, 0.000, 0.000)
H (0.000, 0.500, 0.000)
H (0.000, 0.000, 0.500)

---

[3]
Computed, not measured: a geometry-optimized Hf4FePb2 structure at the PBE level of DFT.

Values from the calculation:
Space group: P2/m (10)
Formation enthalpy at 0 K: 0.05 eV per atom
E: -55.32 eV per cell
DOS(E_F): 0.668 states/eV per atom
V: 22.7 Å³ per atom

Unit cell a=3.245 b=6.216 c=8.424 alpha=110.95 beta=90.00 gamma=90.00
Positions (direct):
Hf (0.500, 0.703, 0.134)
Hf (0.500, 0.154, 0.867)
Hf (0.000, 0.556, 0.793)
Hf (0.000, 0.301, 0.207)
Pb (0.500, 0.168, 0.491)
Pb (0.500, 0.689, 0.509)
Fe (0.000, 0.929, 0.000)

---

[4]
Computed, not measured: a geometry-optimized ErGa3Pt structure at the PBE level of DFT.

Values from the calculation:
Space group: Pnma (62)
Formation enthalpy at 0 K: -0.72 eV per atom
E: -93.15 eV per cell
DOS(E_F): 0.357 states/eV per atom
V: 18.8 Å³ per atom

Unit cell a=4.192 b=8.221 c=10.912 alpha=90.00 beta=90.00 gamma=90.00
Positions (direct):
Pt (0.250, 0.095, 0.647)
Pt (0.750, 0.905, 0.353)
Pt (0.250, 0.595, 0.853)
Pt (0.750, 0.405, 0.147)
Ga (0.750, 0.102, 0.177)
Ga (0.750, 0.429, 0.909)
Ga (0.250, 0.071, 0.409)
Ga (0.250, 0.898, 0.823)
Ga (0.250, 0.363, 0.292)
Ga (0.250, 0.571, 0.091)
Ga (0.750, 0.637, 0.708)
Ga (0.750, 0.137, 0.792)
Ga (0.250, 0.863, 0.208)
Ga (0.250, 0.398, 0.677)
Ga (0.750, 0.602, 0.323)
Ga (0.750, 0.929, 0.591)
Er (0.250, 0.197, 0.986)
Er (0.750, 0.803, 0.014)
Er (0.250, 0.697, 0.514)
Er (0.750, 0.303, 0.486)

---

[5]
Computed, not measured: a geometry-optimized BaNaCl3 structure at the PBE level of DFT.

Values from the calculation:
E above lowest polymorph: 0.0250 eV/atom
Space group: Ama2 (40)
Formation energy (no corrections): -2170 meV per atom
E: -39.26 eV per cell
DOS(E_F): 0.000 states/eV per atom
V: 33.3 Å³ per atom

Unit cell a=5.216 b=7.080 c=9.682 alpha=111.45 beta=90.00 gamma=90.00
Positions (direct):
Na (0.250, 0.734, 0.161)
Na (0.750, 0.573, 0.839)
Cl (0.250, 0.639, 0.432)
Cl (0.750, 0.954, 0.837)
Cl (0.750, 0.650, 0.147)
Cl (0.250, 0.503, 0.853)
Cl (0.750, 0.207, 0.568)
Cl (0.250, 0.117, 0.163)
└──

"Friday," the girl immediately woke up and turned to look who called her name with her eyes half closed then finally saw him.

"K-Kevin?" She said scratching her eyes.

"Yup, it's me. Come on, let's go. You look so tired." He took his baggages with the help of one more men from the dock. How would a woman get so many things in just a few days vacation? Is she eloping from home or something?

"I'm sorry if I bother you. Dustin said he's send someone to pick me up. I didn't know I have to reserved a ticket just to go in the island. I thought its come and go." He said as they went to the yacht.

"Just in this season because it's summer. We can't just let everyone go there because it might cause the island sink." He joked. "So we told them to have a ticket reservation. Why didn't you tell Dustin you're coming last night? You probably are sleeping in your room until now. You look exhausted." He turned to face Frey when he didn't feel him hopping in the yacht after him. Two men were already loading her luggages at yacht.

He saw him staring at the gap that he has to hop. "What are you still doing there? Come on."

Friday hesitantly move but didn't know where to hold. That when he realized what she's wearing. She seems to be in her office attire with her heels on.

"Here. Hold my hand." He decided to help him and offer his hand but because the yacht moved, she slightly slipped. Good thing he held her waist to help her balance. "Careful there."

"T-thanks." She said and sat at the edge. "I decided to fisnished all my work yesterday for me to have a longer vacation in the island, so after my work, I came here, but I was not informed about the reserved ticket." He just watched her remove her shoes in her feet and its getting red.

Friday is not that small so he didn't know why she still have to wear heels… well, he don't know woman anyway. He just nodded and started the engine.

"Hold on tight." He warned as he started moving.

They were actually using that for, racing so it's fast. But, Frey seems to be fine with the speed because she can still appreciate the sea on their way. She also didn't mind when her pony tail loosed because of the wind that blows in her face. Her makeup was slightly smudged in her face, but she's still beautiful.

She helped him get up and stand in the dock when they get there and helped her with her luggage's at the back of her Solar Energy Powered Cart or SEP Cart - The only transportation that can be seen in the island, except for their 3 cars. His car was not there at the dock, so, maybe his brothers used it again or maybe their fiancée does.

"Are you running from home? Did you bring your whole closet?" He can't help but asked while looking at all the luggages.

"Did Dustin not mention that he will let me stay here and act as the president in FerArD while he's on their honeymoon?"

"Nope. But, really?"

"Yeah. He requested his uncle to pull me out of FerCon first and look after FerArD. He said he can't just let his assistant do all the work alone, so he wanted me to help. I'll actually start tomorrow."

He nodded when they started driving. "Are you gonna stay in the hotel?"

"Dustin told me; the hotel rooms are fully booked and so does the cabins, but he told me that I can stay at the secret cabin. Is there a secret cabin here?"

"What?" Secret cabin was their playground - at least some of them, especially him. They bring their woman in there, for a night, but not all the time, though.

He had a fare share of woman. He's just a guy. Some of them were just flings and some of them were just for one night. Maybe his relationship just ended, a month, at most. Girls are the one who broke up with him because they said, he can't give them time. All of them wanted him to give then his full attention, which he cannot do because he had a business to run.

The secret cabin is not a clean place to stay, logically speaking. But Kevin knew Dustin had no choice. Unless one of them will invite her in their houses, which is not ideal as well.

"You can use the room from the left." She pointed the only untouched room in there.

There are three rooms in that cabin but the two were already tarnished with 'worldly things'. It's a room where they can just press something and everything will move by itself. Easy to access when they are busy filling up their libidos. But she doesn't have to know about that.

He helped her put her baggages into her room and bid his goodbye. He just let someone get the SEP Cart and put it back to the dock. He can just walk back to the Brandon's because they have short way going there. Only five of them knew about that way.

The day after tomorrow was the double wedding of his brothers. And they will marry the first cousins Demitry and Selena. Their sister confirmed of coming and Oscar and Rafael were there to pick them from the airport. Kevin knew them all planned about what hour and flight to take for them to meet at the airport. The Marias was just in the same province so they can just come anytime.

They all have a family dinner at the restaurant in the resort, the same floor where his brother Javier abruptly proposed to Demi. For the first time after 5 years, they were all gathered in one place, the Redwood siblings: from eldest to youngest, namely, Cassandra, Dustin, Javier, Kevin, Minji, Natzy, Oscar, Pierina, Rafael, and the five Marias - Sachiko, Tomiko, Toshiko, Yumiko, and Yuriko.

Of course they are with Demi and Selena as well, plus Ysa too, the girlfriend of Oscar. Everyone was loud and happy. Of course girls can't stop chatting again. They all love talking to Anthony, Javier and Demi's first born. Who wouldn't adore that split image of his father? The girls even ask who's prettier among them. And just like his father, he just answered, they all are. What a charmer young man.
